### Request
The reader should give back all of the listing below unchanged.

### File
Model 1:
An isolated molecule of C2H2ClNO2. Source: the OMol25 dataset; level of theory: the ωB97M-V functional and the def2-TZVPD basis.

Values from the calculation:
* SMILES: O=[N+]([O-])/C=C/Cl
* HOMO: -9.83 eV
* orbital gap: 8.57 eV
* LUMO energy: -1.269 eV
* charge: 0
* multiplicity: 1

Structure (XYZ):
```
8
C2H2ClNO2 | the OMol25 dataset | the ωB97M-V functional and the def2-TZVPD basis
O -1.852 -1.309 -0.068
N -1.676 -0.114 -0.013
O -2.526 0.737 0.109
C -0.381 0.440 -0.101
C 0.848 -0.522 0.155
Cl 2.337 0.131 -0.019
H -0.099 1.430 -0.475
H 0.551 -1.391 0.585
```

=====

Model 2:
An isolated molecule of C2H2ClNO2. Source: the OMol25 dataset; level of theory: the ωB97M-V functional and the def2-TZVPD basis.

Values from the calculation:
* SMILES: C=C(Cl)[N+](=O)[O-]
* HOMO: -10.66 eV
* orbital gap: 9.38 eV
* LUMO energy: -1.281 eV
* charge: 0
* multiplicity: 1

Structure (XYZ):
```
8
C2H2ClNO2 | the OMol25 dataset | the ωB97M-V functional and the def2-TZVPD basis
C -1.228 -0.048 -0.081
C -0.047 0.473 0.257
Cl 0.435 1.783 1.134
N 1.001 -0.405 -0.165
O 0.799 -1.441 -0.762
O 2.229 0.057 0.089
H -2.191 0.393 0.312
H -0.997 -0.812 -0.784
```

=====

Pick model 2: it beats the second-best structure by 0.0225 hartree.

=====

Model 1:
A structure of composition C3H4NP. Source: the OMol25 dataset; level of theory: the ωB97M-V functional and the def2-TZVPD basis.

Values from the calculation:
* HOMO: -9.45 eV
* orbital gap: 9.64 eV
* LUMO energy: 0.195 eV
* charge: 0
* multiplicity: 1

Structure (XYZ):
```
9
C3H4NP | the OMol25 dataset | the ωB97M-V functional and the def2-TZVPD basis
C -0.255 1.072 0.443
C 0.720 0.142 0.574
C -0.786 0.029 -1.361
N -1.147 0.956 -0.553
P 0.795 -0.758 -0.987
H -0.323 1.896 1.233
H 1.787 0.349 1.460
H -1.545 -0.109 -2.153
H 0.113 -2.079 -0.926
```

=====

Model 2:
An isolated molecule of C3H4NP. Source: the OMol25 dataset; level of theory: the ωB97M-V functional and the def2-TZVPD basis.

Values from the calculation:
* HOMO: -8.39 eV
* orbital gap: 8.41 eV
* LUMO energy: 0.023 eV
* charge: 0
* multiplicity: 1

Structure (XYZ):
```
9
C3H4NP | the OMol25 dataset | the ωB97M-V functional and the def2-TZVPD basis
C 1.279 -0.906 -0.258
C -0.170 1.497 0.308
C -1.642 -0.239 -0.478
N -1.103 0.673 0.076
P 1.431 0.634 0.260
H 2.109 -1.587 -0.214
H -0.211 2.418 0.700
H -1.929 -1.177 -0.076
H 0.236 -1.312 -0.318
```

=====

Model 3:
An isolated molecule of C3H4NP. Source: the OMol25 dataset; level of theory: the ωB97M-V functional and the def2-TZVPD basis.

Values from the calculation:
* SMILES: C#[PH]N=C=C
* HOMO: -9.13 eV
* orbital gap: 8.03 eV
* LUMO energy: -1.105 eV
* charge: 0
* multiplicity: 1

Structure (XYZ):
```
9
C3H4NP | the OMol25 dataset | the ωB97M-V functional and the def2-TZVPD basis
C 1.195 -1.518 -0.149
P 1.891 -0.013 0.377
N 0.672 1.214 0.042
C -0.468 0.813 0.246
C -1.614 0.258 0.150
H 0.058 -1.299 -0.128
H 2.620 0.184 -0.779
H -2.200 0.165 1.029
H -2.153 0.196 -0.786
```

=====

Pick model 1: it beats the second-best structure by 0.0515 hartree.

~~~~~

{
  "formula": "C5H9N2O2",
  "method": "ωB97M-V/def2-TZVPD",
  "species": ["C", "C", "C", "C", "C", "N", "N", "O", "O", "H", "H", "H", "H", "H", "H", "H", "H", "H"],
  "positions_angstrom": [[-1.1445, -2.7438, -0.2412], [-0.9050, -0.5152, 0.0465], [0.0784, 0.5390, -0.5846], [-0.5800, 1.9709, -0.6318], [1.0811, -2.1240, 0.4872], [-0.3571, -1.8344, 0.1247], [0.2605, 0.0809, -1.9931], [-1.9959, -3.4063, -0.6003], [0.8928, 0.7470, -2.7093], [-1.1693, -0.1636, 0.9960], [-1.7606, -0.6429, -0.5756], [0.9650, 0.8220, 0.0146], [-1.5299, 1.8187, -1.1750], [0.0438, 2.7963, -1.1628], [-0.7714, 2.3954, 0.3848], [1.1857, -1.3325, 1.2182], [0.9190, -3.1311, 0.9098], [1.7601, -2.2169, -0.3321]],

### Here it is
Model 1:
An isolated molecule of C2H2ClNO2. Source: the OMol25 dataset; level of theory: the ωB97M-V functional and the def2-TZVPD basis.

Values from the calculation:
* SMILES: O=[N+]([O-])/C=C/Cl
* HOMO: -9.83 eV
* orbital gap: 8.57 eV
* LUMO energy: -1.269 eV
* charge: 0
* multiplicity: 1

Structure (XYZ):
```
8
C2H2ClNO2 | the OMol25 dataset | the ωB97M-V functional and the def2-TZVPD basis
O -1.852 -1.309 -0.068
N -1.676 -0.114 -0.013
O -2.526 0.737 0.109
C -0.381 0.440 -0.101
C 0.848 -0.522 0.155
Cl 2.337 0.131 -0.019
H -0.099 1.430 -0.475
H 0.551 -1.391 0.585
```

=====

Model 2:
An isolated molecule of C2H2ClNO2. Source: the OMol25 dataset; level of theory: the ωB97M-V functional and the def2-TZVPD basis.

Values from the calculation:
* SMILES: C=C(Cl)[N+](=O)[O-]
* HOMO: -10.66 eV
* orbital gap: 9.38 eV
* LUMO energy: -1.281 eV
* charge: 0
* multiplicity: 1

Structure (XYZ):
```
8
C2H2ClNO2 | the OMol25 dataset | the ωB97M-V functional and the def2-TZVPD basis
C -1.228 -0.048 -0.081
C -0.047 0.473 0.257
Cl 0.435 1.783 1.134
N 1.001 -0.405 -0.165
O 0.799 -1.441 -0.762
O 2.229 0.057 0.089
H -2.191 0.393 0.312
H -0.997 -0.812 -0.784
```

=====

Pick model 2: it beats the second-best structure by 0.0225 hartree.

=====

Model 1:
A structure of composition C3H4NP. Source: the OMol25 dataset; level of theory: the ωB97M-V functional and the def2-TZVPD basis.

Values from the calculation:
* HOMO: -9.45 eV
* orbital gap: 9.64 eV
* LUMO energy: 0.195 eV
* charge: 0
* multiplicity: 1

Structure (XYZ):
```
9
C3H4NP | the OMol25 dataset | the ωB97M-V functional and the def2-TZVPD basis
C -0.255 1.072 0.443
C 0.720 0.142 0.574
C -0.786 0.029 -1.361
N -1.147 0.956 -0.553
P 0.795 -0.758 -0.987
H -0.323 1.896 1.233
H 1.787 0.349 1.460
H -1.545 -0.109 -2.153
H 0.113 -2.079 -0.926
```

=====

Model 2:
An isolated molecule of C3H4NP. Source: the OMol25 dataset; level of theory: the ωB97M-V functional and the def2-TZVPD basis.

Values from the calculation:
* HOMO: -8.39 eV
* orbital gap: 8.41 eV
* LUMO energy: 0.023 eV
* charge: 0
* multiplicity: 1

Structure (XYZ):
```
9
C3H4NP | the OMol25 dataset | the ωB97M-V functional and the def2-TZVPD basis
C 1.279 -0.906 -0.258
C -0.170 1.497 0.308
C -1.642 -0.239 -0.478
N -1.103 0.673 0.076
P 1.431 0.634 0.260
H 2.109 -1.587 -0.214
H -0.211 2.418 0.700
H -1.929 -1.177 -0.076
H 0.236 -1.312 -0.318
```

=====

Model 3:
An isolated molecule of C3H4NP. Source: the OMol25 dataset; level of theory: the ωB97M-V functional and the def2-TZVPD basis.

Values from the calculation:
* SMILES: C#[PH]N=C=C
* HOMO: -9.13 eV
* orbital gap: 8.03 eV
* LUMO energy: -1.105 eV
* charge: 0
* multiplicity: 1

Structure (XYZ):
```
9
C3H4NP | the OMol25 dataset | the ωB97M-V functional and the def2-TZVPD basis
C 1.195 -1.518 -0.149
P 1.891 -0.013 0.377
N 0.672 1.214 0.042
C -0.468 0.813 0.246
C -1.614 0.258 0.150
H 0.058 -1.299 -0.128
H 2.620 0.184 -0.779
H -2.200 0.165 1.029
H -2.153 0.196 -0.786
```

=====

Pick model 1: it beats the second-best structure by 0.0515 hartree.

~~~~~

{
  "formula": "C5H9N2O2",
  "method": "ωB97M-V/def2-TZVPD",
  "species": ["C", "C", "C", "C", "C", "N", "N", "O", "O", "H", "H", "H", "H", "H", "H", "H", "H", "H"],
  "positions_angstrom": [[-1.1445, -2.7438, -0.2412], [-0.9050, -0.5152, 0.0465], [0.0784, 0.5390, -0.5846], [-0.5800, 1.9709, -0.6318], [1.0811, -2.1240, 0.4872], [-0.3571, -1.8344, 0.1247], [0.2605, 0.0809, -1.9931], [-1.9959, -3.4063, -0.6003], [0.8928, 0.7470, -2.7093], [-1.1693, -0.1636, 0.9960], [-1.7606, -0.6429, -0.5756], [0.9650, 0.8220, 0.0146], [-1.5299, 1.8187, -1.1750], [0.0438, 2.7963, -1.1628], [-0.7714, 2.3954, 0.3848], [1.1857, -1.3325, 1.2182], [0.9190, -3.1311, 0.9098], [1.7601, -2.2169, -0.3321]],